A week of critical and creative educational content celebrating degrowth, community, ally ship and eco-social strategies. Support our vision and become a part of it!

EUR 6’506

130% of EUR 5’000

130 %
This is how it works

The «all or nothing» principle applies: The project only receives the funds if the funding target is reached or exceeded.

98 backers

-- Next to the piece, the page also holds calculated crystals --
-- begin --
(1)
Below is a relaxed structure of MgPa2Si2Ir5, with properties calculated at the PBE level.

```
MgPa2Si2Ir5
1.0
9.6967 0.0000 0.0000
0.0000 9.6967 0.0000
0.0000 0.0000 3.6526
Mg Pa Si Ir
2 4 4 10
Direct
0.0000 0.0000 0.0000 Mg
0.5000 0.5000 0.0000 Mg
0.1769 0.3231 0.0000 Pa
0.3231 0.8231 0.0000 Pa
0.6769 0.1769 0.0000 Pa
0.8231 0.6769 0.0000 Pa
0.1228 0.6228 0.0000 Si
0.3772 0.1228 0.0000 Si
0.6228 0.8772 0.0000 Si
0.8772 0.3772 0.0000 Si
0.0000 0.5000 0.5000 Ir
0.0662 0.7845 0.5000 Ir
0.2155 0.0662 0.5000 Ir
0.2845 0.5662 0.5000 Ir
0.4338 0.2845 0.5000 Ir
0.5000 0.0000 0.5000 Ir
0.5662 0.7155 0.5000 Ir
0.7155 0.4338 0.5000 Ir
0.7845 0.9338 0.5000 Ir
0.9338 0.2155 0.5000 Ir
```

Electronic total energy, Ha/atom: -0.30211
Uncorrected formation energy, eV/atom: -0.647

=====

(2)
Below is a relaxed structure of GeOs, with properties calculated at the PBE level.

```
GeOs
1.0
5.9839 0.0000 0.0000
0.0000 5.9839 0.0000
0.0000 0.0000 4.5768
Ge Os
4 4
Direct
0.2394 0.2394 0.0000 Ge
0.2606 0.7394 0.5000 Ge
0.7394 0.2606 0.5000 Ge
0.7606 0.7606 0.0000 Ge
0.1434 0.1434 0.5000 Os
0.3566 0.6434 0.0000 Os
0.6434 0.3566 0.0000 Os
0.8566 0.8566 0.5000 Os
```

Energy of formation, meV/atom: 844
Electronic total energy, Ha/atom: -0.26016

=====

(3)
Below is a relaxed structure of Sr2EuHo, with properties calculated at the PBE level.

```
Sr2EuHo
1.0
4.2786 0.0000 0.0000
0.0000 4.2786 0.0000
0.0000 0.0000 9.5647
Sr Eu Ho
2 1 1
Direct
0.0000 0.0000 0.2293 Sr
0.0000 0.0000 0.7707 Sr
0.5000 0.5000 0.5000 Eu
0.5000 0.5000 0.0000 Ho
```

Energy of formation, meV/atom: 174
Electronic total energy, Ha/atom: -0.16096
Excess energy over the best structure of this formula in the dataset, meV per atom: 0

=====

(4)
Below is a relaxed structure of Li8CaCu4, with properties calculated at the PBE level.

```
Li8CaCu4
1.0
-4.6183 4.6183 2.5198
4.6183 -4.6183 2.5198
4.6183 4.6183 -2.5198
Li Ca Cu
8 1 4
Direct
0.0000 0.2259 0.2259 Li
0.0000 0.7741 0.7741 Li
0.1525 0.5000 0.6525 Li
0.2259 0.0000 0.2259 Li
0.5000 0.1525 0.6525 Li
0.5000 0.8475 0.3475 Li
0.7741 0.0000 0.7741 Li
0.8475 0.5000 0.3475 Li
0.5000 0.5000 0.0000 Ca
0.0000 0.0000 0.5000 Cu
0.0000 0.5000 0.0000 Cu
0.5000 0.0000 0.0000 Cu
0.5000 0.5000 0.5000 Cu
```

Energy of formation, meV/atom: -37
Electronic total energy, Ha/atom: -0.09662

=====

(5)
Below is a relaxed structure of Na2Zn3RhF12, with properties calculated at the PBE level.

```
Na2Zn3RhF12
1.0
3.5749 2.0640 6.4531
-3.5749 2.0640 6.4531
0.0000 -4.1279 6.4531
Na Zn Rh F
2 3 1 12
Direct
0.0779 0.0779 0.0779 Na
0.9221 0.9221 0.9221 Na
0.0000 0.5000 0.5000 Zn
0.5000 0.0000 0.5000 Zn
0.5000 0.5000 0.0000 Zn
0.5000 0.5000 0.5000 Rh
0.1621 0.1621 0.5904 F
0.1621 0.5904 0.1621 F
0.1843 0.5717 0.5717 F
0.4096 0.8379 0.8379 F
0.4283 0.4283 0.8157 F
0.4283 0.8157 0.4283 F
0.5717 0.1843 0.5717 F
0.5717 0.5717 0.1843 F
0.5904 0.1621 0.1621 F
0.8157 0.4283 0.4283 F
0.8379 0.4096 0.8379 F
0.8379 0.8379 0.4096 F
```

Electronic total energy, Ha/atom: -0.15203
-- stop --

Successfully concluded on 15/12/2023

Alt Shift - a Degrowth Festival

The Alt Shift Festival is a degrowth festival that offers critical and creative educational content on post-growth cultures and eco-social strategies. It is a space for experimental, playful, artistic, and emotional knowledge creation and sharing on topics related to degrowth. It is also a community of care and solidarity that promotes sustainable and inclusive practices and strives to contribute to the local community and environment. We have had the privilege of hosting two wonderful and successful festivals and are riding the momentum to co-create a third!

Co-Creating & Convivial Celebrating

A unique aspect of Alt Shift is that the programme is partially co-created by all participants! Topics-wise, the workshops revolve around post-growth cultures, eco-social strategies and emotional introspection. The formats are non-formal, participatory, experimental, exploratory, playful and artistic. In the evenings we enjoy concerts, dances, theatre performances, sports tournaments and movie screenings from all the wonderful creatives at Alt Shift. For the chillier nights, we light bonfires where we share our favourite protest songs and secrets about the revolution.

**Attached: data records:**
~~~
VASP calculation (PBE+U) on an optimized crystal structure of AlCoO3.

The value obtained for the mass density is 4.64 g/cm³. The total energy is -0.476 Ry/atom. The calculation puts the magnetic moment at 3.39 μB per cell.

It has space group P6_3/mmc (No. 194), with a = 3.1251 Å, b = 3.1251 Å, c = 11.3353 Å, α = 90.00°, β = 90.00° and γ = 120.00°. The distinct sites, in fractional coordinates, are Al at (0.0000, 0.0000, 0.0000), Co at (0.3333, 0.6667, 0.2500), O at (0.0000, 0.0000, 0.2500) and O at (0.3333, 0.6667, 0.0787).

* * * * *

Record 1
Computed, not measured: an optimized crystal structure of MgHgSeO at the PBE-GGA level of DFT.

Lattice parameters (Å, degrees): 7.0809 8.4872 12.5265 90.00 90.00 90.00
Last column: nearest neighbours and their distance in Å.
Sites, in units of the cell vectors:
Mg 0.1877 0.1381 0.2090  2 O 1.89-1.91
Mg 0.1877 0.3619 0.7090  2 O 1.89-1.91
Mg 0.3123 0.6381 0.2090  2 O 1.89-1.91
Mg 0.3123 0.8619 0.7090  2 O 1.89-1.91
Mg 0.6877 0.1381 0.2910  2 O 1.89-1.91
Mg 0.6877 0.3619 0.7910  2 O 1.89-1.91
Mg 0.8123 0.6381 0.2910  2 O 1.89-1.91
Mg 0.8123 0.8619 0.7910  2 O 1.89-1.91
Hg 0.0137 0.2380 0.9341  1 O 2.31, 1 Se 2.53
Hg 0.0137 0.2620 0.4341  1 O 2.31, 1 Se 2.53
Hg 0.4863 0.7380 0.9341  1 O 2.31, 1 Se 2.53
Hg 0.4863 0.7620 0.4341  1 O 2.31, 1 Se 2.53
Hg 0.5137 0.2380 0.5659  1 O 2.31, 1 Se 2.53
Hg 0.5137 0.2620 0.0659  1 O 2.31, 1 Se 2.53
Hg 0.9863 0.7380 0.5659  1 O 2.31, 1 Se 2.53
Hg 0.9863 0.7620 0.0659  1 O 2.31, 1 Se 2.53
Se 0.2456 0.5491 0.0101  2 Hg 2.53-2.67, 1 Mg 2.65
Se 0.2456 0.9509 0.5101  2 Hg 2.53-2.67, 1 Mg 2.65
Se 0.2544 0.0491 0.0101  2 Hg 2.53-2.67, 1 Mg 2.65
Se 0.2544 0.4509 0.5101  2 Hg 2.53-2.67, 1 Mg 2.65
Se 0.7456 0.5491 0.4899  2 Hg 2.53-2.67, 1 Mg 2.65
Se 0.7456 0.9509 0.9899  2 Hg 2.53-2.67, 1 Mg 2.65
Se 0.7544 0.0491 0.4899  2 Hg 2.53-2.67, 1 Mg 2.65
Se 0.7544 0.4509 0.9899  2 Hg 2.53-2.67, 1 Mg 2.65
O 0.0555 0.6895 0.2397  2 Mg 1.89-1.91
O 0.0555 0.8105 0.7397  2 Mg 1.89-1.91
O 0.4445 0.1895 0.2397  2 Mg 1.89-1.91
O 0.4445 0.3105 0.7397  2 Mg 1.89-1.91
O 0.5555 0.6895 0.2603  2 Mg 1.89-1.91
O 0.5555 0.8105 0.7603  2 Mg 1.89-1.91
O 0.9445 0.1895 0.2603  2 Mg 1.89-1.91
O 0.9445 0.3105 0.7603  2 Mg 1.89-1.91

Calculated values
The uncorrected energy is -3.5200 eV/atom. For the energy above the most stable polymorph in this dataset, the calculation gives 243 meV/atom.



Record 2
Computed, not measured: an optimized crystal structure of ZnGaNiPd at the PBE-GGA level of DFT.

Lattice parameters (Å, degrees): 4.2463 4.2463 4.2463 60.00 60.00 60.00
Last column: nearest neighbours and their distance in Å.
Sites, in units of the cell vectors:
Zn 0.0000 0.0000 0.0000  4 Ni 2.60, 4 Pd 2.60
Ga 0.5000 0.5000 0.5000  4 Ni 2.60, 4 Pd 2.60
Ni 0.7500 0.7500 0.7500  4 Zn 2.60, 4 Ga 2.60
Pd 0.2500 0.2500 0.2500  4 Zn 2.60, 4 Ga 2.60

Calculated values
The uncorrected energy is -4.1881 eV/atom.



Record 3
Computed, not measured: an optimized crystal structure of PaTaBi at the PBE-GGA level of DFT.
~~~

Community Building

Alt Shift is also a place where community flourishes. We camp in the Austrian woods, cook and clean together, and learn from each other. All of this happens at Kunst in der Natur (Art in Nature), which provides us with ample camping and workshop spaces. The local ecosystem gifts us with wide meadows, safe havens in the woods, a river nearby to cool down and a house with a big kitchen to cook delicious vegan food together. There are designated areas to chill and be quiet, as well as a safer space for BIPOC folks. With a buddy group system, we want to make everyone feel included. The organising team is always ready to implement participant suggestions in real-time, places careful attention to social cohesion and attempts to resolve conflict quickly.


Co-cultivation is not just a metaphorical concept within our minds and bodies, but it’s also actively happening at a very tangible and practical level at the festival. Our neighbour Tristan runs an organic community supported agriculture farm (BioSain) less than a 5-minute walk away. Participants can get first-hand experience in permaculture gardening, the bio-construction of greenhouses, or the excavation of ponds to assist in the regeneration of the local ecosystem. Also, the veggies and fruit we eat at the Alt Shift are almost all from BioSain. Talk about co-cultivation!

  • The co-created programme
    The co-created programme
  • Tadeas from Nazemi, giving a workshop about degrowth and Non-Violent Communication
    Tadeas from Nazemi, giving a workshop about degrowth and Non-Violent Communication
  • Territorial Tales - an interactive art performance by the Lab of Rooted Imagination and Germinart-t
    Territorial Tales - an interactive art performance by the Lab of Rooted Imagination and Germinart-t
  • Break at the BioSans pond
    Break at the BioSans pond

The next edition: Building Alliances

The third edition of Alt Shift focuses on building alliances outside the degrowth movement. Degrowth argues that we need global material energy reduction to foster just and ecological futures. Until now, the strength of degrowth lies mainly within academia and, increasingly, on a top-down policy level. Seeing the degrowth movement as a node within a wider network of alternative movement struggles, we aim to shift our focus towards creating nurturing bonds of allyship and learning how to create and cultivate such webs in a genuine way. How can degrowth become more inclusive to create research, policies and practices rooted in indigenous, decolonial, and trans-feminist knowledges and experiences? And, the other way around, how can we be better and more active allies to our sister movements?

On a very practical level, our content team aims to invite individuals and collectives fighting at the forefront of, or engaging, with grassroots social movement struggles, such as climate and global social justice, feminist abolitionism, food sovereignty, environmental justice, anti-racism, and land rights movements. Our invited guests are encouraged to bring a workshop or a discussion session, in which they share their experiences, skills or knowledge. By inviting sister movements, we aim to broaden the scope of this degrowth festival to become a space of encounters and entanglement between different social movement actors.

  • Critical mapping workshop by Radix and Kauz
    Critical mapping workshop by Radix and Kauz
  • Degrowth art exhibition by Colectivo Grietas
    Degrowth art exhibition by Colectivo Grietas
  • Volleyball match
    Volleyball match
  • Building together a workshop structure
    Building together a workshop structure

Nurture the Alt Shift Revolution

Your support will go directly towards the expenses involved in organising the festivity, including the venue, workshops, materials, performer fees, logistical arrangements, and solidarity tickets for folks coming from marginalised communities. Every contribution, big or small, makes a difference. Sharing our campaign helps too!

By supporting Alt Shift, you become an essential part of this movement towards inclusive, just, and regenerative modes of existence.

So, join us in realising this visionary event! Let’s create a future where our collective actions shape a world that embraces diversity, justice, and the well-being of all beings. Donate today and help us make Alt Shift a vibrant reality!

Donations from any group, organisation or individual do not equal endorsement from the Alt Shift team. Please read our positionality statement on our website for more information on our stances.

Inserted here: data records:
/*
A geometry-optimized SiNiNO2 structure, computed with PBE+U.

* size of the total moment: 1.1 μB/f.u.
* mass density: 4.9 g cm⁻³
* crystal system: tetragonal
* calculated volume: 45.23 Å³ per cell
* calculated total energy: -5.8761 eV per atom
* DOS at the Fermi energy: 0.39 states/eV per atom

Cell: 3.4742 3.4742 3.7473 Å, 90.00 90.00 90.00°
Last column: nearest neighbours and their distance in Å.
Space group P4/mmm (No. 123)
Symmetry-distinct sites (fractional):
Si: 0.0000 0.0000 0.0000  4 O 1.74, 2 N 1.87
Ni: 0.5000 0.5000 0.5000  4 N 2.46, 8 O 2.56
N: 0.0000 0.0000 0.5000  2 Si 1.87
O: 0.0000 0.5000 0.0000  2 Si 1.74


# 1
A plane-wave DFT calculation with GGA-PBE was carried out for an optimized crystal structure of Sr2MgPb.

a = 3.9890 Å, b = 5.0907 Å, c = 7.2909 Å
α = 90.00°, β = 90.00°, γ = 90.00°
Last column: nearest neighbours and their distance in Å.
Element x y z (fractional)
1 Mg 0.0000 0.0000 0.4951  5 Sr 3.36-3.56
2 Pb 0.5000 0.5000 0.7585  5 Sr 3.41-3.54, 4 Mg 3.76
3 Sr 0.5000 0.5000 0.2908  1 Pb 3.41, 4 Mg 3.56
4 Sr 0.0000 0.0000 0.9555  1 Mg 3.36, 4 Pb 3.54

Output
- VASP energy (eV per atom) = -2.309
- energy of formation from the pure elements (meV per atom) = -143

# 2
A plane-wave DFT calculation with GGA-PBE was carried out for an optimized crystal structure of BPdS.

a = 3.0057 Å, b = 5.5523 Å, c = 5.9674 Å
α = 93.81°, β = 97.87°, γ = 104.61°
Last column: nearest neighbours and their distance in Å.
Element x y z (fractional)
1 Pd 0.5473 0.7232 0.1800  1 B 2.34, 2 S 2.36-2.39
2 B 0.1080 0.6527 0.6183  1 B 1.68, 2 S 1.87-1.88
3 B 0.2695 0.8713 0.8440  1 B 1.68, 2 S 1.86-1.87
4 S 0.4959 0.4800 0.4958  2 B 1.87-1.88
5 Pd 0.2758 0.0262 0.5040  2 B 2.18-2.26, 1 S 2.44
6 S 0.8808 0.0436 0.9660  2 B 1.86-1.87

Output
- distance to the lowest polymorph of the same formula (meV per atom) = 41
- VASP energy (eV per atom) = -5.502
- uncorrected formation energy (eV per atom) = -0.170

# 3
A plane-wave DFT calculation with GGA-PBE was carried out for an optimized crystal structure of ReSb2As.

a = 4.8186 Å, b = 4.8186 Å, c = 5.5884 Å
α = 79.38°, β = 79.38°, γ = 41.14°
Last column: nearest neighbours and their distance in Å.
Element x y z (fractional)
1 Sb 0.5191 0.5191 0.4723  3 Re 2.78-2.94, 3 As 2.83-3.11, 2 Sb 3.08
2 Re 0.2500 0.2500 0.2500  6 Sb 2.78-2.94
3 Sb 0.9809 0.9809 0.0277  3 Re 2.78-2.94, 3 As 2.83-3.11, 2 Sb 3.08
4 As 0.7500 0.7500 0.7500  6 Sb 2.83-3.11

Output
- VASP energy (eV per atom) = -5.726
- uncorrected formation energy (eV per atom) = 0.610

# 4
A plane-wave DFT calculation with GGA-PBE was carried out for an optimized crystal structure of Sc2CdAg.

a = 5.4748 Å, b = 5.4748 Å, c = 5.4748 Å
α = 133.80°, β = 133.80°, γ = 67.41°
Last column: nearest neighbours and their distance in Å.
Element x y z (fractional)
1 Cd 0.7500 0.2500 0.5000  8 Sc 3.04-3.13, 4 Ag 3.13
2 Sc 0.0000 0.0000 0.0000  4 Ag 3.04, 4 Cd 3.13, 4 Sc 3.13
3 Ag 0.5000 0.5000 0.0000  8 Sc 3.04-3.13, 4 Cd 3.13
*/

  • Outcomes of our World Café about co-creating the festival space
    Outcomes of our World Café about co-creating the festival space
  • Open Mic
    Open Mic
  • Lunch Announcements
    Lunch Announcements